Thursday, March 13, 2025

Talking Queer Judaism with Rabbi David Dunn Bauer

For April we decided to examine a potential path back to religion & spirituality for bears and queer people since all the major Spring holidays are occurring throughout the month. To that end, we spoke with a variety of queer religious leaders and gathered their input on the topic.

With Passover just wrapping up, we take a deeper look at Judaism with Rabbi David Dunn Bauer. The following is a transcript of our conversation.

John Hernandez: Do you think there is a path of return for queer people to Judaism which may have alienated them as children/ young adults?

Rabbi David Dunn Bauer: The Jewish religious tradition that people would be returning to is not the one that they fled from. The name may be the same, but the spirit and the function are totally different.

Photo Credit: Shutterstock

People who return to Judaism after wandering away, or those who join the Jewish people after having started somewhere else on the spiritual map, have the same right to our spiritual heritage as do those people who never left. We aren’t so much “The People of the Book” as we are “The People Endlessly Conversing About the Books.”

When you arrive at the tradition, you find an immense library of books, and an on-going conversation about the texts. The dynamic energy of Jewish religion has always come through asking questions. Nowadays, within Feminist and Queer Judaism there are fewer restrictions on who may pull up a chair and join the conversation. The more you study, the more exciting you will find the conversation, but your voice and your questions are welcome and necessary from the moment you sit down to read.

It’s not just the newer authors that make Judaism different. Texts that are thousands of years old may be the most recently available as they are newly translated, made available online, and their historical context explored and reassessed. Some of them are radical as all get-out!

Contemporary Queer Judaism is so much more interesting than the hetero-normative Judaism that turned people off or turned them away 30 years ago. Come back and see what it has become.

John Hernandez: Is there a queer community of worshippers or a congregation in your religious tradition that you can recommend for queer people?

Rabbi David Dunn Bauer: Judaism has been revitalized by a Queer synagogue movement for over 50 years now. It has been successful enough that many formerly Queer shuls are now all-inclusive. [Whispers] We see straight people!

Nonetheless, I am a big believer that Queer synagogues still provide a unique experience to their participants and unique contributions to the Jewish world. The great LGBTQIA+ synagogues that continue to thrive as such include Congregation Beit Simchat Torah in NYC, Congregation Sha’ar Zahav in San Francisco, Congregation Kol Ami and Beth Chayim Chadashim — both in Los Angeles.

Additionally, pointing to the teachings of Rabbi Mordecai Kaplan z”l, there are multiple avenues of access to Jewish civilization. One of the most exciting has always been the study of Jewish sacred text. It was, for most of our history, the exclusive privilege of cisgender men (see Yentl). People should check out SVARA – a traditionally radical Yeshiva, based out of Chicago, and go to Queer Talmud Camp.

## Misplaced data records
____________
{
  "formula": "Th2Ru6C5",
  "functional": "PBE",
  "state": "relaxed",
  "lattice_angstrom": [[-5.879, 5.487, 4.368], [-6.986, -5.081, -3.021], [0.281, -2.420, 3.420]],
  "species": ["Th", "Th", "Th", "Th", "Ru", "Ru", "Ru", "Ru", "Ru", "Ru", "Ru", "Ru", "Ru", "Ru", "Ru", "Ru", "C", "C", "C", "C", "C", "C", "C", "C", "C", "C"],
  "frac_coords": [[0.826, 0.326, 0.500], [0.674, 0.826, 0.500], [0.326, 0.174, 0.500], [0.174, 0.674, 0.500], [0.429, 0.712, 0.000], [0.288, 0.429, 0.000], [0.000, 0.500, 0.000], [0.500, 0.000, 0.000], [0.000, 0.000, 0.500], [0.500, 0.500, 0.500], [0.929, 0.788, 0.000], [0.212, 0.929, 0.000], [0.788, 0.071, 0.000], [0.071, 0.212, 0.000], [0.712, 0.571, 0.000], [0.571, 0.288, 0.000], [0.500, 0.500, 0.000], [0.000, 0.000, 0.000], [0.374, 0.874, 0.671], [0.626, 0.126, 0.671], [0.374, 0.874, 0.329], [0.126, 0.374, 0.329], [0.874, 0.626, 0.329], [0.626, 0.126, 0.329], [0.874, 0.626, 0.671], [0.126, 0.374, 0.671]],
  "magmom_total_mub_per_cell": 0.00,
  "formation_energy_ev_per_atom": -0.208,
  "density_g_cm3": 10.68,
  "final_energy_ev_per_atom": -9.178
}



{
  "formula": "CeLu2Bi",
  "functional": "PBE",
  "state": "relaxed",
  "lattice_angstrom": [[-1.831, -2.755, 1.200], [1.088, -1.720, 2.871], [-6.162, 5.147, 7.574]],
  "species": ["Lu", "Lu", "Bi", "Ce"],
  "frac_coords": [[0.252, 0.252, 0.244], [0.748, 0.748, 0.756], [0.000, 0.000, 0.000], [0.500, 0.500, 0.500]],
  "magmom_total_mub_per_cell": 0.70,
  "formation_energy_ev_per_atom": -0.147,
  "density_g_cm3": 9.98,
  "de_polymorph_ev_per_atom": 0.141,
  "final_energy_ev_per_atom": -4.862
}



{
  "formula": "Rb2CdGeRh",
  "functional": "PBE",
  "state": "relaxed",
  "lattice_angstrom": [[-3.047, 2.372, 4.609], [-3.114, -4.250, 0.129], [3.775, -2.649, 3.859]],
  "species": ["Ge", "Rh", "Rb", "Rb", "Cd"],
  "frac_coords": [[0.500, 0.500, 0.500], [0.000, 0.000, 0.000], [0.000, 0.000, 0.500], [0.500, 0.000, 0.000], [0.000, 0.500, 0.000]],
  "magmom_total_mub_per_cell": 2.32,
  "formation_energy_ev_per_atom": 0.691,
  "density_g_cm3": 4.00,
  "final_energy_ev_per_atom": -2.273
}



{
  "formula": "Pm3Ho12Al",
  "functional": "PBE",
  "state": "relaxed",
  "lattice_angstrom": [[4.939, 0.000, 0.000], [0.000, 4.939, 0.000], [0.000, 0.000, 20.020]],
  "species": ["Pm", "Pm", "Pm", "Ho", "Ho", "Ho", "Ho", "Ho", "Ho", "Ho", "Ho", "Ho", "Ho", "Ho", "Ho", "Al"],
  "frac_coords": [[0.000, 0.000, 0.246], [0.000, 0.000, 0.500], [0.000, 0.000, 0.754], [0.500, 0.500, 0.000], [0.500, 0.500, 0.241], [0.500, 0.500, 0.500], [0.500, 0.500, 0.759], [0.500, 0.000, 0.116], [0.500, 0.000, 0.372], [0.500, 0.000, 0.628], [0.500, 0.000, 0.884], [0.000, 0.500, 0.116], [0.000, 0.500, 0.372], [0.000, 0.500, 0.628], [0.000, 0.500, 0.884], [0.000, 0.000, 0.000]],
  "magmom_total_mub_per_cell": 0.01,
  "formation_energy_ev_per_atom": -0.015,
  "density_g_cm3": 8.30,
  "final_energy_ev_per_atom": -4.573
}
____________

John Hernandez:  Is it possible to be a solo practitioner of Judaism?

Rabbi David Dunn Bauer: Only that question gets a one-word answer. No.

Judaism as a religion only works when there is community. We need people to pray with, sing with, study with, argue with, dance with, cook with, argue with, eat with, and argue with! Certain central pieces of liturgy (Mourner’s Kaddish, for example) traditionally were not prayed if there were fewer than 10 Jews in the room. Judaism can be studied on one’s own, but I don’t believe anyone can practice it alone. The lifting is too heavy. Community is what makes it magical.

Rabbi David Dunn Bauer

== Attached: records of crystals ==
No. 1
DFT (GGA-PBE) results for a relaxed structure of ReP.

Calculated values
The value obtained for the calculated total energy is -8.963 eV per atom. The formation energy comes out at -0.034 eV/atom.

Lattice parameters (Å, degrees): 7.6736 7.6736 7.6736 22.21 22.21 22.21
Last column: nearest neighbours and their distance in Å.
Atoms (fractional coordinates):
Re 0.3841 0.3841 0.3841  3 P 2.39
Re 0.6159 0.6159 0.6159  3 P 2.39
P 0.1253 0.1253 0.1253  3 Re 2.39, 3 P 2.52
P 0.8747 0.8747 0.8747  3 Re 2.39, 3 P 2.52

No. 2
DFT (GGA-PBE) results for a relaxed structure of Np2Si4Ni3Rh.

Calculated values
For the uncorrected formation energy, the calculation gives -0.5912 eV/atom. The value obtained for the calculated total energy is -7.818 eV per atom.

Lattice parameters (Å, degrees): 3.9736 3.9736 9.6921 90.00 90.00 90.00
Last column: nearest neighbours and their distance in Å.
Atoms (fractional coordinates):
Ni 0.5000 0.0000 0.8781  5 Si 2.31
Ni 0.0000 0.5000 0.1219  5 Si 2.31
Ni 0.0000 0.0000 0.5000  4 Si 2.40
Rh 0.5000 0.5000 0.5000  4 Si 2.40
Si 0.5000 0.5000 0.0000  4 Ni 2.31
Si 0.5000 0.0000 0.6397  3 Ni 2.31-2.40, 2 Rh 2.40
Si 0.0000 0.0000 0.0000  4 Ni 2.31
Si 0.0000 0.5000 0.3603  3 Ni 2.31-2.40, 2 Rh 2.40
Np 0.5000 0.0000 0.2426  8 Si 3.03-3.08, 6 Ni 3.04-3.19, 2 Rh 3.19
Np 0.0000 0.5000 0.7574  8 Si 3.03-3.08, 6 Ni 3.04-3.19, 2 Rh 3.19

No. 3
DFT (GGA-PBE) results for a relaxed structure of ReRh2Br.

Calculated values
For the uncorrected formation energy, the calculation gives 0.3781 eV/atom. The value obtained for the calculated total energy is -6.828 eV per atom.

Lattice parameters (Å, degrees): 3.5175 2.8445 7.0825 89.99 90.00 90.00
Last column: nearest neighbours and their distance in Å.
Atoms (fractional coordinates):
Rh 0.0000 0.2500 0.5574  4 Re 2.64, 3 Rh 2.73-2.84, 2 Br 2.80
Rh 0.0000 0.2500 0.9426  4 Re 2.64, 3 Rh 2.73-2.84, 2 Br 2.80
Br 0.5000 0.2500 0.2500  4 Rh 2.80, 2 Br 2.84
Re 0.5000 0.7500 0.7500  8 Rh 2.64, 2 Re 2.84

No. 4
DFT (GGA-PBE) results for a relaxed structure of NaBPd.

Calculated values
The value obtained for the calculated total energy is -4.504 eV per atom. The formation energy comes out at -0.107 eV/atom.

Lattice parameters (Å, degrees): 4.2999 4.2999 5.3687 75.31 75.31 76.92
Last column: nearest neighbours and their distance in Å.
Atoms (fractional coordinates):
Pd 0.7127 0.7127 0.3153  4 B 2.21-2.25
Pd 0.3156 0.3156 0.3139  4 B 2.21-2.24
B 0.1845 0.8569 0.2885  1 B 1.75
B 0.8569 0.1845 0.2885  1 B 1.75
Na 0.6399 0.1390 0.8022  1 B 2.65, 2 Na 2.67-2.68, 2 Pd 2.94-2.95
Na 0.1390 0.6399 0.8022  1 B 2.65, 2 Na 2.67-2.68, 2 Pd 2.94-2.95

~~~~~

## Zr2CdRh (PBE)

Data for a relaxed Zr2CdRh crystal.

Lattice parameters (Å, degrees): 9.483 9.483 9.483 19.47 19.47 19.47
Sites, in units of the cell vectors:
1 Cd 0.492 0.492 0.492
2 Rh 0.746 0.746 0.746
3 Zr 0.010 0.010 0.010
4 Zr 0.252 0.252 0.252

Properties
Energy relative to the elements ... -176 meV per atom
Crystal system ... trigonal

John Hernandez: What does Passover mean to you?

Rabbi David Dunn Bauer: The Passover Seder is modeled on the Greek symposium. It is a moment of luxury where we experience abundance on multiple levels: food, storytelling, intimacy, intellectual challenge, tradition, and innovation. The theme is liberation, a concept that gets more complex the older we grow. The Israelites of the Torah (Jewish Bible) had to be freed from the tyranny of Pharaoh. Liberation was an absolute need. Tyranny, despotism, authoritarianism, dictatorship, fascism — these cannot be allowed to stand. However, even the Biblical story of the Exodus, wherein Godself effected the People’s liberation, freedom came at the terrible cost of ten gruesome plagues and countless wars of conquest. How do we today achieve real freedom with the minimum of war and bloodshed? That’s the question we must address every year. This year, Jewish safety, Queer safety, and women’s safety and freedom are threatened everywhere. Democracy and basic principles of human equality are being undermined by the right wing here in the States, in Israel, in Ukraine, in Russia (the list goes on). How do we bring about liberation and justice for all oppressed people everywhere?

John Hernandez

John Hernandez is the Editor in Chief of Bear World Magazine. In addition to bear culture, he specializes in entertainment writing with a special focus on horror and genre films. He resides in New York City with his husband.
